For the Linux server group set in Ansible, I tried to modify (?) Ansible and serverspec in order to solve the following problems that I had when testing with serverspec.
, it is troublesome to prepare the test code for each directory with the name of the server to be tested.Please refer to it as an introductory / beginner's edition when using Ansible and serverspec in cooperation.
Implement so that you can:
Ansible Control Node
Ansible Managed Node
$ tree -aF /autotools
|-- .ssh/
| `-- aws_key.pem #Managed Node SSH private key
|-- ansible/
| |-- ansible.cfg
| |-- group_vars/ #Variable directory for groups
| |-- host_vars/ #Variable directory for host
| |-- inventory/ #Inventory placement directory for Ansible
| `-- centos.yml # Playbook
`-- serverspec/
|-- .rspec
|-- Rakefile
[Between two parts of the page: calculated crystals]
+++
Record 1
Entry from Alexandria via LeMat-Bulk: a relaxed structure of K2NaMn (PBE).

**Raw total energy**: -2.55 eV/atom
**Symmetry**: No. 225
**Energy above the lowest structure with this stoichiometry**: 0 meV per atom
**DOS at the Fermi energy**: 5.3 states/eV/f.u.
**ΔH_f (0 K)**: 0.6239 eV per atom

a = 6.268 Å, b = 6.268 Å, c = 6.268 Å
α = 60.00°, β = 60.00°, γ = 60.00°
Element x y z (fractional)
K 0.750 0.750 0.750
K 0.250 0.250 0.250
Na 0.000 0.000 0.000
Mn 0.500 0.500 0.500

Record 2
Entry from Alexandria via LeMat-Bulk: a relaxed structure of Pr7Ga2Pd2 (PBE).

**Raw total energy**: -4.85 eV/atom
**Symmetry**: No. 65
**DOS at the Fermi energy**: 11.0 states/eV/f.u.
**ΔH_f (0 K)**: -0.3093 eV per atom

a = 6.976 Å, b = 7.252 Å, c = 6.976 Å
α = 90.00°, β = 108.46°, γ = 90.00°
Element x y z (fractional)
Ga 0.841 0.500 0.841
Ga 0.159 0.500 0.159
Pr 0.500 0.270 0.000
Pr 0.500 0.265 0.500
Pr 0.000 0.730 0.500
Pr 0.000 0.000 0.000
Pr 0.500 0.735 0.500
Pr 0.000 0.270 0.500
Pr 0.500 0.730 0.000
Pd 0.291 0.000 0.709
Pd 0.709 0.000 0.291

Record 3
Entry from Alexandria via LeMat-Bulk: a relaxed structure of Cs2ThCuSe4 (PBE).

**Raw total energy**: -4.40 eV/atom
**Symmetry**: No. 82
**DOS at the Fermi energy**: 4.3 states/eV/f.u.

a = 7.337 Å, b = 7.337 Å, c = 7.337 Å
α = 101.83°, β = 113.42°, γ = 113.42°
Element x y z (fractional)
Cu 0.000 0.500 0.500
Cs 0.500 0.750 0.250
Cs 0.000 0.000 0.000
Se 0.390 0.838 0.743
Se 0.095 0.257 0.647
Se 0.610 0.353 0.448
Se 0.905 0.552 0.162
Th 0.500 0.250 0.750

Record 4
Entry from Alexandria via LeMat-Bulk: a relaxed structure of PBr (PBE).

**Raw total energy**: -3.23 eV/atom
**Symmetry**: No. 59
**Energy above the lowest structure with this stoichiometry**: 441 meV per atom
**DOS at the Fermi energy**: 0.4 states/eV/f.u.

a = 3.460 Å, b = 3.545 Å, c = 8.244 Å
α = 90.00°, β = 90.00°, γ = 90.00°
Element x y z (fractional)
P 0.000 0.500 0.461
P 0.500 0.000 0.372
Br 0.000 0.000 0.132
Br 0.500 0.500 0.701

~~~~~

VASP calculation (PBE) on a geometry-optimized LiVPt14 structure.

```
LiVPt14
1.0
5.575 -0.012 0.000
0.012 5.575 0.000
0.000 0.000 7.821
V Pt Li
1 14 1
direct
0.875 0.875 0.500
0.875 0.375 0.500
0.375 0.875 0.500
0.123 0.627 0.259
0.627 0.627 0.741
0.875 0.875 0.000
0.123 0.123 0.259
0.375 0.875 0.000
0.123 0.123 0.741
0.627 0.123 0.741
0.375 0.375 0.000
0.627 0.627 0.259
0.875 0.375 0.000
0.627 0.123 0.259
0.123 0.627 0.741
0.375 0.375 0.500
```

Values from the calculation:
The calculation puts the density of states at the Fermi level at 19.84 states/eV per cell. The calculation puts the energy of formation at -4.0 eV per formula unit. The size of the total moment is 0.00 μB per atom. The space-group type is P4/mmm, No. 123. The crystal system is tetragonal.
+++
|-- spec/
| |-- base/ #Test coat placement directory for base role
| | `-- sample_spec.rb #Test code
| `-- spec_helper.rb
`-- spec_hosts/ #Variable placement directory for serverspec
First, let's decide project_name
with an English character string for the purpose of managing this server group collectively.
Here, as an example, use project_name
as ʻanken`.
Here, specify ʻansible.cfg to be used in the environment variable ʻANSIBLE_CONFIG
I'm using the same hostname in my code development, so I've listed the ssh arguments here.
$ export ANSIBLE_CONFIG=/autotools/ansible/ansible.cfg
ssh_args = -o UserKnownHostsFile=/dev/null -o StrictHostKeyChecking=no
become = true
Place the SSH private key used to SSH into the Ansible Managed Node in /autotools/.ssh
The key path is listed in the inventory file.
Place the inventory file ʻanken.iniunder
/ autotools / ansible / inventory /`.
Basically, it is OK if you write according to Ansible rules, but since it is used in the mechanism for linking with serverspec, please set the following three indispensable.
with[all: vars]
, ʻansible_password
, and ʻansible_ssh_private_key_file`, respectively. Set either a password or an SSH key. (The password and SSH key written here are also used in serverspec through the variable file described later.)/autotools/ansible/inventory/anken.ini
prod_foobar1 ansible_host=xx.xx.xx.xx
dev_foobar1 ansible_host=yy.yy.yy.yy
Ansible is executed for the IP or name of ʻansible_host`.
ʻInventory_hostname (where
dev_foobar2` is specified in the example) does not have to match the actual hostname of the node.
The playbook example used in this implementation example is as follows.
name: Configure for serverspec at localhost
outputs the variable file used by serverspec.
- name: Playbook for centos7 managed node
hosts: all
gather_facts: true
- name: Create group
name: "{{ }}"
gid: "{{ item.gid }}"
loop: "{{ group }}"
tags: group
- name: Create User
name: "{{ }}"
uid: "{{ item.uid }}"
group: "{{ }}"
groups: "{{ item.groups }}"
home: "{{ item.home }}"
shell: "{{ }}"
loop: "{{ user }}"
tags: user
- name: System service
name: "{{ }}"
enabled: "{{ item.enabled }}"
state: "{{ item.state }}"
loop: "{{ service }}"
tags: service
- name: Configure for serverspec at localhost
hosts: localhost
connection: local
gather_facts: false
- name: Dump hostvars for serverspec
content: "{{ hostvars | to_nice_yaml }}"
dest: "../serverspec/spec_hosts/{{ project_name }}.yml"
tags: serverspec
Variables common to projects are placed in /autotools/ansible/group_vars/#{project_name}.yml
. If you want to specify a different variable only for a specific inventory_hostname, place it in /autotools/ansible/host_vars/#{inventory_name}.yml
In the variable file, specify the role to use when testing with serverspec with serverspec_role
- base
- name: unyo
gid: 1101
- name: infra
gid: 1102
- name: app
gid: 1103
- name: user1
uid: 2001
group: customer
groups: [ unyo, infra]
home: /home/user1
shell: /bin/bash
- name: user2
uid: 2002
group: customer
groups: [ app ]
home: /home/user2
shell: /bin/bash
- name: user3
uid: 2003
group: customer
groups: [ app, infra ]
home: /home/user3
shell: /bin/bash
- name: chronyd.service
enabled: false
state: stopped
- name: rsyncd.service
enabled: true
state: started
Here, I will limit it to the prod_foobar
node and overwrite some variables.
- name: unyo
gid: 2101
- name: infra
gid: 2102
- name: app
gid: 2103
After arranging the necessary files, it should look like this.
$ tree /autotools/ansible -aF
|-- ansible.cfg
|-- centos.yml
|-- group_vars/
| `-- anken.yml
|-- host_vars/
| `-- prod_foobar1
`-- inventory/
`-- anken.ini
Run the centos.yml playbook with an inventory file as shown below.
$ cd /autotools/ansible
$ ansible -i ./inventory/anken centos.yml
After running Ansible, the directory / file structure on the serverspec side should look like this.
# tree /autotools/serverspec -aF
|-- .rspec
|-- Rakefile
|-- spec/
| |-- base/
| | `-- sample_spec.rb
| `-- spec_helper.rb
`-- spec_hosts/
`-- anken.yml #Variable file generated by Ansible
The order is different, but the execution command of serverspec is as follows. This is an image of passing the variable file name (generated by Ansible) used in serverspec to the rake command as an argument.
$ rake spec anken -T
rake spec # Run spec to all hosts
rake spec:dev_foobar1 # Run spec to dev_foobar1
rake spec:prod_foobar1 # Run spec to prod_foobar1
$ rake spec anken
There are some changes from the standard Rakefile
created by serverspec-init
require 'rake'
require 'rspec/core/rake_task'
require 'yaml'
#Read variable file
project_name = ARGV[1]
hosts = YAML.load_file("./spec_hosts/#{project_name}.yml")
desc "Run spec to all hosts"
task :spec => 'spec:all'
namespace :spec do
task :all => {|key| 'spec:' + key }
hosts.keys.each do |key|
desc "Run spec to #{key}" do |t|
ENV['PROJECT_NAME'] = project_name
# serverspec_Under a directory with the same name as role*_spec.Read rb file
t.pattern = 'spec/{' + hosts[key]['serverspec_role'].join(',') + '}/*_spec.rb'
t.fail_on_error = false
#Forged the argument of the rake command as an empty task
ARGV.slice(1,ARGV.size).each{|v| task v.to_sym do; end}
I used it as a reference below. Thank you very much.
Reference: Write ordinary argument-like processing in Rake task
Reference: Official How to use host specific properties
This also changes some functions from the initial state of spec_helper.rb
require 'serverspec'
require 'pathname'
require 'net/ssh'
require 'yaml'
#Read variable yml file
project_name = ENV['PROJECT_NAME']
properties = YAML.load_file("./spec_hosts/#{project_name}.yml")
set_property properties["#{key}"]
set :backend, :ssh
set :path, '/sbin:/usr/sbin:$PATH'
#ssh execution part
RSpec.configure do |c|
c.before :all do
#Extract the host, user, password or key used in Ansible from the read variable file
set :host, property['ansible_host']
options = Net::SSH::Config.for(
options[:user] = property['ansible_user']
if property['ansible_password']
options[:password] = property['ansible_password']
options[:keys] = [ property['ansible_ssh_private_key_file'] ]
options[:user_known_hosts_file] = '/dev/null'
set :ssh_options, options
This spec_helper.rb
does not support WinRM because it is set: backend,: ssh
. However, since you can write anything in Ruby, it shouldn't be difficult to support Windows.
This is a sample.
As written in spec_helper.rb
,property ['xxx']
can be used to retrieve a variable from a variable file and reuse it.
# frozen_string_literal: true
require 'spec_helper'
puts "\nRun serverspec to #{property['inventory_hostname']}"
property['group'].each do |attr|
describe group(attr['name']) do
it { should exist }
it { should have_gid attr['gid'] }
property['user'].each do |attr|
describe user(attr['name']) do
it { should exist }
it { should have_uid attr['uid'] }
it { should belong_to_group attr['group'] }
property['service'].each do |attr|
describe service(attr['name']) do
attr['enabled'] ? it { should be_enabled } : it { should_not be_enabled }
attr['state'] == 'started' ? it { should be_running } : it { should_not be_running }
Again, execute the rake spec command with the variable file name generated by Ansible as an argument as shown below. It is also possible to execute tests for each unit.
$ rake spec anken
$ rake spec anken -T #Command to display task list
rake spec # Run spec to all hosts
rake spec:dev_foobar1 # Run spec to dev_foobar1
rake spec:prod_foobar1 # Run spec to prod_foobar1
$ rake spec:dev_foobar1 anken
With Ansible and serverspec, we were able to unify variable files and event refiles, which tend to be double-managed. In addition, I was able to manage and execute the test code on a role-by-role basis by referring to the method described in the serverspec formula.
Since serverspec is a pretty Ruby-colored tool, it's hard for people who don't usually touch Ruby, but once you get used to it, it's good that various processes are easy to write.
It is published below.